Since the late 50's and early 60's there was a shift in peoples' attitude towards sex. People thought easily provided artifical contraception meant they could have sex with no consequences. Since then there is now more types of STDs and some that were nearly gone made a revival, like chlymadia etc. There is also an increase in single parents, and more divorce. Before then not many even contemplated an abortion, I am sure maybe there was some illegal abortions but by a very, very small percentage of the population. Now in the U.S. a staggering amount of people get abortions. So it is quite obvious these liberal attitudes have not been working. Abortion is not a solution, it does not help the woman as many regret their decision, and realise they have killed an innocent child. People shoud get back to having sex only within marriage. Younger people should be taught to abstain and wait till they are in a committed relationship. Look at society go to sh*t before your eyes, you must be blind if you do not notice or care. We need some good moral values back in society, we need to take responsibilty and not be so self centred. Everything in life is not about money, material position, sex, popularity, etc. It's time to wake up before it is to late.
What we need right here in the good ol' USofA is a Committee for the Preservation of Virtue and the Prevention of Vice. The very propaganda Bush staked his invasion of Afghanistan on during the run-up. I suggest you connies mind yer own peckers.
It's true that hormonal contraception provided more trustworthy methods for women and men, but contraception did exist before the 50's and 60's. Condoms were available centuries ago, and other barrier methods, such as the diaphram, were available for many years. Studies show that 95% of all people had pre-marital sex as long ago as the 1940's, and since we all know that people have always had sex, there is no reason to believe they were any less promiscuous before that. No, it was not a small percentage of the population considering abortion. Abortion happened in approximately the same numbers before RvW as afterward. Few women regret their decision, and probably as many regret deciding to give birth. What? "People should get back to having sex only within marriage"???? That has NEVER been the case. You can teach young people to abstain and wait until you are blue in the face and that teaching will not prevail over their natural biological urges. It's a good moral value to not give birth to a child until you can provide proper care for it, and it is responsible to take whatever actions are necessary to assure that, including abortion.
We are long past that. We are a nation that has turned its back from God. And I believe that we are in punishment right now…that God is allowing this to go on. We are in chaos…socially and physically. The liberals love it because they can operate guilt free. No God…no guilt, no punishment. But today, people are being punished….sexually, financially…out of wedlock births, single mothers….abortion, disease, bankruptcy, joblessness, crime, drugs….We make Sodom and Gomorrah look like the puritans. As a Christian I believe that if Obama gets elected…the punishment goes on..and that God is not ready to bless this nation. He can raise up leaders and he can defeat them. The truth today does not matter. Virtue and character do not matter. No work ethic. Community does not matter. Narcissism, materialism…..governments control over our lives…that is the god today. We should do what feels good…and if we tear people down, hurt them…it does not matter….its their fault anyway, certainly not ours. I deserve something, you deserve something….government assistance, free housing, food. It is the job of the government to take care of us right? We are a complete mess…a moralistic cess pool of bodies.
(Next to the piece, the page also holds quantum chemistry results)
=====
Formula: C7H10
Source: OMol25
Level of theory: ωB97M-V/def2-TZVPD

The geometry in XYZ format:
```
17
Properties=species:S:1:pos:R:3:forces:R:3:nbo_charge:R:1
C -0.512 -1.525 -2.063 1.81 -0.18 -0.10 -0.4205
C 0.785 2.221 -0.622 0.99 -1.21 0.53 -0.3750
C -0.681 -0.731 0.827 -0.09 0.20 0.06 -0.1036
C -0.640 -0.335 2.288 0.16 -0.18 -0.49 -0.6599
C 0.637 1.219 0.267 1.04 1.26 -1.49 -0.2068
C 0.244 -0.556 -1.462 -1.56 -0.48 -0.33 -0.1643
C -0.023 -0.020 -0.109 0.50 -2.01 0.72 -0.1386
H -0.611 -1.548 -3.145 0.82 -0.28 -0.02 0.1924
H -0.840 0.716 2.473 -0.39 0.10 -0.14 0.2265
H -1.184 -1.670 0.565 0.27 0.39 0.06 0.2017
H -0.611 -2.503 -1.589 -1.63 0.57 0.52 0.2036
H 0.408 -0.440 2.589 -0.12 -0.32 0.41 0.2171
H -1.297 -0.959 2.892 0.18 0.11 0.07 0.2202
H 1.090 -0.153 -2.003 -0.66 1.11 -0.51 0.2062
H 1.492 3.021 -0.418 -0.44 0.15 -0.02 0.1993
H 0.509 2.022 -1.653 -0.48 0.57 0.11 0.1966
H 1.236 1.242 1.163 -0.40 0.20 0.60 0.2051
```
Positions in Å, forces in eV/Å.

Results
Energy above the lowest of the compared OMol25 structures with the same formula, charge and spin = 318.4 kJ/mol
SMILES = C=CC(C=C)=CC
Orbital gap = 8.2 eV
Net charge = 0

~~~~~

1.
DFT (ωB97M-V with the def2-TZVPD basis set) results for a structure of composition C5H4O2S in a non-equilibrium geometry.

Output
HOMO-LUMO gap	8.62	eV
highest occupied orbital energy	-8.21	eV
relative energy (zero: lowest compared OMol25 entry of this formula, charge and spin)	438.3	kJ/mol

```
! wB97M-V def2-TZVPD RIJCOSX def2/J DEFGRID3
* xyz 0 1
C 0.716 -0.045 -0.200
C -0.722 1.680 0.091
C -1.364 0.504 -0.118
C -1.699 -1.442 0.100
C -0.444 -0.607 -0.355
H 3.073 0.628 -0.598
H -1.088 2.656 0.308
H -2.230 -2.335 -0.463
H -1.857 -1.665 1.233
O 0.577 1.340 0.050
O -2.492 -0.182 0.033
S 2.406 -0.568 0.110
*
```

2.
DFT (ωB97M-V with the def2-TZVPD basis set) results for a structure of composition C8H24BF4KO4 in a non-equilibrium geometry.

Output
HOMO-LUMO gap	8.28	eV
highest occupied orbital energy	-9.32	eV
relative energy (zero: lowest compared OMol25 entry of this formula, charge and spin)	189.9	kJ/mol

```
! wB97M-V def2-TZVPD RIJCOSX def2/J DEFGRID3
* xyz 0 1
K -1.785 -1.364 -3.504
B -0.595 0.167 -0.872
F -1.080 -0.538 0.212
F 0.038 1.312 -0.380
F 0.336 -0.556 -1.628
F -1.641 0.482 -1.734
C 3.405 -1.593 0.231
C 3.173 -2.005 -1.188
O 3.648 -0.907 -1.942
H 4.447 -1.713 0.528
H 2.833 -2.199 0.934
H 3.036 -0.594 0.464
H 2.143 -2.350 -1.285
H 3.718 -2.898 -1.494
H 3.145 -0.151 -1.631
C 0.201 0.563 4.139
C 0.882 -0.607 3.379
O -0.110 -1.412 2.779
H -0.187 0.337 5.132
H -0.463 1.155 3.509
H 0.982 1.295 4.345
H 1.397 -1.139 4.178
H 1.716 -0.250 2.774
H -0.349 -1.042 1.927
C -3.959 -1.176 0.855
C -3.642 -2.568 0.293
O -2.705 -2.296 -0.709
H -3.128 -0.717 1.390
H -4.871 -1.211 1.451
H -4.195 -0.345 0.190
H -4.491 -3.052 -0.190
H -3.204 -3.173 1.086
H -2.135 -1.779 -0.136
C 0.043 3.469 -3.466
C 0.435 3.980 -2.059
O 1.400 3.235 -1.419
H -0.666 4.213 -3.830
H -0.277 2.428 -3.433
H 0.884 3.595 -4.148
=====
(Back to the piece)
grannie…... Bullcrap. If this was true…abortion did not need to be legal then. And give statistics on this will ya. If abortion was illegal…then there is no way of knowing the numbers of abortions that went on. You are something else…always misrepresenting facts. "Few women regret their decision, and probably as many regret deciding to give birth. What? "People should get back to having sex only within marriage"???? That has NEVER been the case. You can teach young people to abstain and wait until you are blue in the face and that teaching will not prevail over their natural biological urges." Again…you have NO WAY OF KNOWING WHAT WOMEN FEEL. HAVE YOU EVER HAD AN ABORTION? How many women here debating this subject have had an abortion. I think I am the only one. Isn't that odd that more are not here…because statistics show that 40% of American women have had abortions. So it would make sense I would not be the only one here…look at the number of women here debating this. But it is rare that women talk about it. Why? LMAO Why don't women want to share this most common surgical procedure? Tell us since you know so much about abortion grannie. LOL The fact is you have no idea…no clue…about this. You want to make abortion fit into this beautiful wrapped up package…tied with a colorful bow. For you its power…the power women have over their own children…and the fact that they can hire them killed…on demand. Give me statistics that show that women do not regret their abortions. And when you do…I will tell you that statistics lie. Most women will not admit to having one. They don't want their friends and families to know. Why do you suppose that is? There is no way on earth for a poll on this subject to be accurate. You talk about morals?…LMAO Yes killing is the answer…for people who do not value life…and think its cheap. People who are so into themselves that they think they know what is best for everyone else.
I think society is getting better actually. Certainly women experience much more freedom now than in the 1950's and 60's. As do black people and homosexuals. In general our living standards have risen as have our literacy rates and life expectancies have improved. I think you are a very negative person, not to have noticed or cared about these substantial benefits we have all received from a more progressive and enlightened outlook.
____________
No. 1
This record from OMol25 describes a structure of composition C44H45N4O2OsP2S in a non-equilibrium geometry. The level of theory is the ωB97M-V functional and the def2-TZVPD basis.

Atoms and positions in Å:
Os -0.0038 0.5151 -0.1158
C 3.2572 -3.8846 -1.8192
C 2.6477 -4.0383 -0.4141
C 3.1097 -5.3632 0.2090
C 1.1264 -3.9990 -0.5182
C 0.3557 -5.1357 -0.7620
C -1.0281 -5.0845 -0.8827
C -1.6861 -3.8697 -0.8004
C -0.9379 -2.7185 -0.5685
P -1.5725 -1.1012 -0.9463
C -1.5826 -1.0641 -2.7458
C -2.7604 -1.0195 -3.4945
C -2.7078 -1.1601 -4.8744
C -1.4927 -1.3598 -5.5099
C -0.3206 -1.4427 -4.7634
C -0.3633 -1.2990 -3.3911
C -3.1970 -0.8342 -0.2456
C -4.1125 0.0917 -0.7614
C -5.3324 0.2788 -0.1368
C -5.6558 -0.4517 1.0008
C -4.7566 -1.3761 1.5119
C -3.5295 -1.5648 0.8964
C 0.4368 -2.8029 -0.4328
O 1.1346 -1.5833 -0.2214
C 2.2712 -1.7640 0.6040
C 2.5350 -0.7614 1.5274
C 3.7175 -0.7729 2.2603
C 4.5927 -1.8304 2.0756
C 4.2564 -2.8689 1.2166
C 3.0715 -2.8763 0.4754
P 1.2949 0.4684 1.7168
C -0.1486 0.0557 2.7073
C -0.9428 1.0795 3.2609
C -2.0522 0.7558 4.0156
C -2.3705 -0.5812 4.2479
C -1.5940 -1.5926 3.7056
C -0.4945 -1.2843 2.9194
C 2.0634 1.9840 2.2756
C 2.0464 2.3192 3.6317
C 2.7452 3.4369 4.0633
C 3.4617 4.2044 3.1550
C 3.4965 3.8577 1.8081
C 2.8003 2.7480 1.3638
H 2.9436 -4.7116 -2.4566
H 4.3455 -3.8916 -1.7584
H 2.9476 -2.9484 -2.2891
H 2.8270 -6.2067 -0.4168
H 2.6889 -5.5069 1.2047
H 4.1943 -5.4018 0.2783
H 0.8448 -6.0942 -0.8545
H -1.5869 -5.9915 -1.0673
H -2.7576 -3.8099 -0.9475
H -3.7260 -0.9264 -3.0198
H -3.6240 -1.1311 -5.4483
H -1.4566 -1.4729 -6.5851
H 0.6224 -1.6346 -5.2576
H 0.5490 -1.3932 -2.8176
H -3.8897 0.6608 -1.6523
H -6.0411 0.9849 -0.5480
H -6.6168 -0.3107 1.4771
H -5.0220 -1.9673 2.3789
H -2.8482 -2.3079 1.2785
H 3.9531 0.0315 2.9444
H 5.5312 -1.8577 2.6111
H 4.9441 -3.6962 1.1169
H -0.6625 2.1198 3.1383
H -2.6469 1.5402 4.4641
H -3.2152 -0.8268 4.8783
H -1.8280 -2.6289 3.9150
H 0.1443 -2.0832 2.5581
H 1.5084 1.7104 4.3483
H 2.7435 3.6985 5.1128
H 4.0132 5.0686 3.5012
H 4.0805 4.4450 1.1123
H 2.8606 2.4435 0.3266
C 0.0954 4.1703 -2.9966
N -0.6961 3.3234 -2.1056
C -1.4603 2.2621 -2.7569
C -0.6627 3.4257 -0.7708
N -0.7712 2.3114 0.0272
N -0.6008 4.6174 -0.1783
C -0.2289 4.7555 1.2283
C -1.0681 5.8494 -0.8167
H 0.8979 3.5647 -3.4246
H 0.5345 5.0063 -2.4645
H -0.5301 4.5472 -3.8045
H -1.8711 2.6688 -3.6808
H -2.2845 1.9941 -2.1018
H -0.8667 1.3871 -3.0165
H -1.2290 2.5085 0.9111
H 0.4684 3.9765 1.5183
H -1.1103 4.7335 1.8765
H 0.2543 5.7214 1.3626
H -1.6036 5.6260 -1.7327
H -0.2413 6.5275 -1.0273
H -1.7541 6.3484 -0.1318
O 3.5086 0.6205 -0.9946
S 2.5370 0.8951 -2.0333
N 1.0837 0.9448 -1.6564

Atoms 1-3, force components in eV/Å:
Os 0.1 0.0 -1.3
C 0.0 0.1 0.0
C 0.0 -0.1 0.1

Calculated values
Energy relative to the best compared isomer or geometry (same formula, charge and spin) = 15.0 kcal per mole
Spin multiplicity = 1
E_HOMO (spin up / spin down) = -16.579 / -16.578 eV
Charge = +3
____________
Illegal abortions are more dangerous for women. It is possible to make an accurate estimate of the number of abortions performed by calculating the number of women who died and who had complications. There have been many studies done on the effects of abortion and on the effects of giving birth. Women don't want to talk about it because of women like you. Women keep quiet about the procedure because they don't want to be attacked and labeled "murderess." It's simple. I also keep relatively quiet about abortion in my own community because I don't want to be attacked, have rocks thrown through my windows or my tires slashed. The anonymity of the internet gives me the venue to speak up without fear of reprisal. So if I give you statistics, you will deny them anyway. I'll save my time, thank you. Women do not talk about their abortions out of fear of social ostracism. FEAR, that's the simple reason. It is possible to have polls without revealing names and addresses you know. Irony.....who is it who believes they know what is best for everyone else? Who is it who believes women should not have a choice because someone else knows best for them? LOL, do you read your own posts before you submit them?
I am not getting into whether or not we were once a Christian nation..that is another debate. I believe at one time we were.
Want sex out of marriage i know contraceptives are no guarantee of safety or preventing pregnancy abortion is morally ok because a fetus is not a person yet but is best avoided if posible (*)(*)(*)(*) you
I generally agree with you but I'm a man and thus I don't feel I have the right to tell a woman what to do if she has an unwanted pregnancy. Additionally I agree that sex has become less and less safe but I'm gay so I can't get married and generally think as long as its done responsibly there should not be some arbitrary limit imposed by the government. I don't think abstinence will make sex any safer at this point so I think awareness is the best idea. I'm Christian, but I'm also aware that its 2012, and not everyone holds my beliefs so I'd say that places like planned parenthood are essential to sex safety and birth control should be readily available and also researched because I hear all these awful stories about how it makes people sick and even kills them. The thing about abortion for me, is that the later the term the less justified it is. I'm not sure what I think about abortions in the second trimester, I've not really done a whole lot of research, but I believe that sex and pregnancy are essential women's health issues and women should have access to birth control, information, and they should absolutely have the right to terminate a pregnancy in the first trimester. I don't understand how someone can be pro-life and at the same time think its okay to get their tubes tied. If it sounds like hypocrisy...
And how are those Maternal Mortality statistics going over there in Ireland? Gotten around to actually COUNTING them yet? So banning abortion is working well for you lot then?